### Work order
Your job: give back the lines underneath up to the one that holds "1.951 0.22", that line included.
### Contents
=====
(1)
40
Properties=species:S:1:pos:R:3:nbo_charge:R:1 method="wB97M-V/def2-TZVPD" largest_force_ev_per_a=3.50 de_lowest_kj_mol=96.1 smiles="Cc1cc(C)n(CC(=O)n2c(C)c(C)c3ccccc32)n1" e_tot_ev=-24454.709
C 0.452 2.186 5.510 -0.63
C 0.884 1.873 4.117 0.15
C 1.988 2.483 3.450 -0.35
C 2.029 1.916 2.195 0.18
C 3.022 2.230 1.081 -0.65
N 0.973 1.035 2.208 -0.17
C 0.591 0.081 1.148 -0.31
C -0.160 0.640 -0.013 0.69
O -0.288 1.852 -0.144 -0.57
N -0.558 -0.192 -1.090 -0.43
C -1.096 0.263 -2.327 0.20
C -1.212 1.679 -2.869 -0.64
C -1.509 -0.839 -3.063 -0.05
C -2.103 -0.959 -4.466 -0.63
C -1.157 -2.032 -2.236 -0.08
C -1.454 -3.394 -2.507 -0.19
C -1.052 -4.357 -1.544 -0.22
C -0.440 -3.990 -0.380 -0.23
C -0.120 -2.644 -0.173 -0.25
C -0.523 -1.603 -1.071 0.19
N 0.247 1.040 3.359 -0.28
H -0.418 2.829 5.528 0.22
H 1.229 2.723 6.013 0.21
H 0.279 1.226 6.071 0.22
H 2.679 3.178 3.874 0.22
H 3.646 1.364 0.810 0.22
H 2.478 2.493 0.186 0.23
H 3.643 3.091 1.372 0.24
H 1.499 -0.418 0.781 0.23
H -0.034 -0.659 1.603 0.26
H -0.275 2.264 -2.669 0.24
H -1.361 1.706 -3.951 0.22
H -2.049 2.152 -2.407 0.23
H -3.140 -1.199 -4.396 0.22
H -2.046 -0.037 -5.013 0.22
H -1.555 -1.754 -5.010 0.22
H -2.074 -3.667 -3.364 0.22
H -1.303 -5.411 -1.722 0.21
H -0.142 -4.688 0.357 0.22
H 0.426 -2.462 0.752 0.21



(2)
41
Properties=species:S:1:pos:R:3:nbo_charge:R:1 method="wB97M-V/def2-TZVPD" largest_force_ev_per_a=2.38 de_lowest_kj_mol=271.8 smiles="Oc1c(C2=N[C@]3(CN2)CN2CCC3CC2)oc2ccccc12" e_tot_ev=-26501.870
O -1.054 1.897 2.271 -0.68
C 0.088 2.296 1.594 0.34
C 0.604 1.563 0.557 0.10
C -0.015 0.358 0.014 0.40
N -1.031 -0.286 0.553 -0.57
C -1.326 -1.525 -0.158 0.08
C -0.217 -1.581 -1.233 -0.23
N 0.375 -0.243 -1.167 -0.61
C -2.826 -1.511 -0.661 -0.24
N -3.586 -2.706 -0.208 -0.43
C -2.919 -3.961 -0.641 -0.23
C -1.569 -4.095 0.076 -0.45
C -1.231 -2.779 0.825 -0.18
C -2.315 -2.600 1.942 -0.44
C -3.721 -2.607 1.296 -0.23
O 1.791 2.152 0.128 -0.42
C 1.989 3.246 0.921 0.31
C 3.147 4.047 0.947 -0.25
C 3.229 5.074 1.898 -0.20
C 2.188 5.313 2.829 -0.24
C 1.081 4.447 2.806 -0.16
C 0.984 3.427 1.848 -0.17
H -1.315 0.985 2.015 0.53
H -0.614 -1.837 -2.256 0.20
H 0.553 -2.324 -1.031 0.19
H 1.329 -0.038 -1.451 0.40
H -3.340 -0.615 -0.329 0.22
H -2.826 -1.433 -1.752 0.20
H -3.571 -4.802 -0.385 0.20
H -2.751 -3.964 -1.731 0.20
H -1.532 -4.976 0.700 0.21
H -0.812 -4.258 -0.682 0.20
H -0.190 -2.842 1.241 0.22
H -2.278 -3.460 2.654 0.20
H -2.134 -1.679 2.505 0.22
H -4.297 -3.431 1.685 0.20
H -4.267 -1.692 1.585 0.20
H 3.947 3.843 0.242 0.23
H 4.139 5.673 1.951 0.22
H 2.268 6.152 3.550 0.23
H 0.250 4.601 3.494 0.23



(3)
41
Properties=species:S:1:pos:R:3:nbo_charge:R:1 method="wB97M-V/def2-TZVPD" largest_force_ev_per_a=0.47 de_lowest_kj_mol=113.6 smiles="O=C(CSc1ccccn1)N1CCN(c2ccccc2)CC1" e_tot_ev=-35290.516
O 0.819 0.629 2.165 -0.62
C 0.463 0.479 1.012 0.68
C 1.198 1.156 -0.129 -0.63
S 0.198 2.510 -0.832 0.24
C 0.978 3.922 -0.120 0.07
C 0.366 5.166 -0.265 -0.26
C 0.999 6.260 0.289 -0.15
C 2.203 6.079 0.960 -0.28
C 2.722 4.799 1.035 0.06
N 2.127 3.746 0.503 -0.46
N -0.604 -0.281 0.676 -0.44
C -1.056 -0.512 -0.683 -0.23
C -2.174 -1.560 -0.664 -0.22
N -1.772 -2.724 0.081 -0.45
C -1.187 -3.821 -0.529 0.27
C -0.932 -4.970 0.231 -0.30
C -0.380 -6.096 -0.344 -0.18
C -0.072 -6.122 -1.694 -0.26
C -0.328 -4.998 -2.458 -0.17
C -0.872 -3.862 -1.890 -0.32
C -1.451 -2.440 1.472 -0.22
C -1.363 -0.933 1.723 -0.24
H 2.096 1.637 0.263 0.30
H 1.440 0.471 -0.939 0.23
H -0.571 5.250 -0.793 0.22
H 0.559 7.243 0.205 0.22
H 2.721 6.910 1.410 0.22
H 3.657 4.591 1.539 0.20
H -0.226 -0.897 -1.288 0.20
H -1.412 0.420 -1.137 0.20
H -3.071 -1.142 -0.195 0.20
H -2.444 -1.839 -1.681 0.22
H -1.187 -4.988 1.279 0.21
H -0.195 -6.966 0.269 0.21
H 0.359 -7.004 -2.142 0.21
H -0.092 -4.997 -3.513 0.21
H -1.036 -3.004 -2.525 0.20
H -2.213 -2.866 2.138 0.19
H -0.485 -2.896 1.717 0.21
H -0.843 -0.742 2.663 0.26
H -2.362 -0.487 1.786 0.19



(4)
44
=====
### Worked solution
(1)
40
Properties=species:S:1:pos:R:3:nbo_charge:R:1 method="wB97M-V/def2-TZVPD" largest_force_ev_per_a=3.50 de_lowest_kj_mol=96.1 smiles="Cc1cc(C)n(CC(=O)n2c(C)c(C)c3ccccc32)n1" e_tot_ev=-24454.709
C 0.452 2.186 5.510 -0.63
C 0.884 1.873 4.117 0.15
C 1.988 2.483 3.450 -0.35
C 2.029 1.916 2.195 0.18
C 3.022 2.230 1.081 -0.65
N 0.973 1.035 2.208 -0.17
C 0.591 0.081 1.148 -0.31
C -0.160 0.640 -0.013 0.69
O -0.288 1.852 -0.144 -0.57
N -0.558 -0.192 -1.090 -0.43
C -1.096 0.263 -2.327 0.20
C -1.212 1.679 -2.869 -0.64
C -1.509 -0.839 -3.063 -0.05
C -2.103 -0.959 -4.466 -0.63
C -1.157 -2.032 -2.236 -0.08
C -1.454 -3.394 -2.507 -0.19
C -1.052 -4.357 -1.544 -0.22
C -0.440 -3.990 -0.380 -0.23
C -0.120 -2.644 -0.173 -0.25
C -0.523 -1.603 -1.071 0.19
N 0.247 1.040 3.359 -0.28
H -0.418 2.829 5.528 0.22
H 1.229 2.723 6.013 0.21
H 0.279 1.226 6.071 0.22
H 2.679 3.178 3.874 0.22
H 3.646 1.364 0.810 0.22
H 2.478 2.493 0.186 0.23
H 3.643 3.091 1.372 0.24
H 1.499 -0.418 0.781 0.23
H -0.034 -0.659 1.603 0.26
H -0.275 2.264 -2.669 0.24
H -1.361 1.706 -3.951 0.22
H -2.049 2.152 -2.407 0.23
H -3.140 -1.199 -4.396 0.22
H -2.046 -0.037 -5.013 0.22
H -1.555 -1.754 -5.010 0.22
H -2.074 -3.667 -3.364 0.22
H -1.303 -5.411 -1.722 0.21
H -0.142 -4.688 0.357 0.22
H 0.426 -2.462 0.752 0.21



(2)
41
Properties=species:S:1:pos:R:3:nbo_charge:R:1 method="wB97M-V/def2-TZVPD" largest_force_ev_per_a=2.38 de_lowest_kj_mol=271.8 smiles="Oc1c(C2=N[C@]3(CN2)CN2CCC3CC2)oc2ccccc12" e_tot_ev=-26501.870
O -1.054 1.897 2.271 -0.68
C 0.088 2.296 1.594 0.34
C 0.604 1.563 0.557 0.10
C -0.015 0.358 0.014 0.40
N -1.031 -0.286 0.553 -0.57
C -1.326 -1.525 -0.158 0.08
C -0.217 -1.581 -1.233 -0.23
N 0.375 -0.243 -1.167 -0.61
C -2.826 -1.511 -0.661 -0.24
N -3.586 -2.706 -0.208 -0.43
C -2.919 -3.961 -0.641 -0.23
C -1.569 -4.095 0.076 -0.45
C -1.231 -2.779 0.825 -0.18
C -2.315 -2.600 1.942 -0.44
C -3.721 -2.607 1.296 -0.23
O 1.791 2.152 0.128 -0.42
C 1.989 3.246 0.921 0.31
C 3.147 4.047 0.947 -0.25
C 3.229 5.074 1.898 -0.20
C 2.188 5.313 2.829 -0.24
C 1.081 4.447 2.806 -0.16
C 0.984 3.427 1.848 -0.17
H -1.315 0.985 2.015 0.53
H -0.614 -1.837 -2.256 0.20
H 0.553 -2.324 -1.031 0.19
H 1.329 -0.038 -1.451 0.40
H -3.340 -0.615 -0.329 0.22
H -2.826 -1.433 -1.752 0.20
H -3.571 -4.802 -0.385 0.20
H -2.751 -3.964 -1.731 0.20
H -1.532 -4.976 0.700 0.21
H -0.812 -4.258 -0.682 0.20
H -0.190 -2.842 1.241 0.22
H -2.278 -3.460 2.654 0.20
H -2.134 -1.679 2.505 0.22
H -4.297 -3.431 1.685 0.20
H -4.267 -1.692 1.585 0.20
H 3.947 3.843 0.242 0.23
H 4.139 5.673 1.951 0.22